Request =
Reproduce only the lines further below with the word "energy" in them.

Listing =
+++
An optimized crystal structure of Na2Ca6Mg7FeSi16O48. Source: Materials Project, functional PBE with a Hubbard U.

Lattice parameters (Å, degrees): 13.331 13.331 5.329 79.00 79.00 85.13
Positions (direct):
O 0.668 0.181 0.901
O 0.943 0.696 0.793
O 0.053 0.805 0.194
O 0.832 0.319 0.592
O 0.398 0.486 0.223
O 0.169 0.680 0.906
O 0.195 0.947 0.806
O 0.306 0.557 0.703
O 0.819 0.332 0.099
O 0.181 0.168 0.901
O 0.683 0.666 0.900
O 0.320 0.831 0.094
O 0.304 0.057 0.207
O 0.945 0.192 0.303
O 0.013 0.601 0.278
O 0.558 0.305 0.204
O 0.194 0.442 0.294
O 0.399 0.987 0.722
O 0.602 0.513 0.278
O 0.486 0.898 0.224
O 0.901 0.984 0.232
O 0.514 0.602 0.777
O 0.334 0.317 0.100
O 0.980 0.905 0.721
O 0.514 0.102 0.277
O 0.318 0.333 0.600
O 0.898 0.486 0.723
O 0.694 0.944 0.292
O 0.815 0.832 0.600
O 0.182 0.666 0.399
O 0.095 0.020 0.279
O 0.443 0.193 0.794
O 0.487 0.398 0.722
O 0.016 0.099 0.768
O 0.695 0.442 0.796
O 0.443 0.694 0.297
O 0.056 0.306 0.708
O 0.604 0.012 0.779
O 0.988 0.396 0.221
O 0.558 0.806 0.706
O 0.667 0.682 0.400
O 0.102 0.514 0.776
O 0.807 0.557 0.206
O 0.168 0.185 0.400
O 0.334 0.818 0.601
O 0.808 0.055 0.697
O 0.832 0.819 0.099
O 0.681 0.168 0.408
Si 0.188 0.098 0.196
Si 0.691 0.097 0.697
Si 0.404 0.310 0.805
Si 0.096 0.190 0.694
Si 0.311 0.403 0.305
Si 0.810 0.904 0.306
Si 0.599 0.189 0.195
Si 0.312 0.903 0.805
Si 0.811 0.401 0.805
Si 0.097 0.688 0.195
Si 0.902 0.812 0.804
Si 0.189 0.598 0.693
Si 0.597 0.689 0.695
Si 0.690 0.596 0.195
Si 0.402 0.811 0.307
Si 0.903 0.309 0.303
Ca 0.150 0.351 0.997
Ca 0.351 0.149 0.500
Ca 0.649 0.850 0.003
Ca 0.349 0.651 0.000
Ca 0.651 0.349 0.500
Ca 0.851 0.649 0.500
Mg 0.047 0.953 0.000
Mg 0.954 0.545 0.999
Mg 0.454 0.546 0.500
Mg 0.455 0.046 0.001
Mg 0.046 0.453 0.499
Mg 0.546 0.454 0.000
Mg 0.547 0.954 0.501
Na 0.148 0.852 0.500
Na 0.850 0.150 0.000
Fe 0.950 0.050 0.500

## Properties
**Symmetry**: C2
**Size of the total moment**: 3.1 μB/cell

---

An optimized crystal structure of Li9Mn2Co5O16. Source: Materials Project, functional PBE with a Hubbard U.

Lattice parameters (Å, degrees): 5.899 6.446 8.111 88.83 89.38 65.90
Positions (direct):
Co 0.251 0.500 0.501
Co 0.377 0.753 0.248
Co 0.862 0.758 0.247
Co 0.626 0.245 0.751
Co 0.138 0.242 0.754
O 0.241 0.489 0.734
O 0.631 0.262 0.510
O 0.884 0.758 0.013
O 0.985 0.995 0.239
O 0.402 0.720 0.492
O 0.502 0.020 0.746
O 0.097 0.279 0.510
O 0.342 0.770 0.013
O 0.491 0.983 0.252
O 0.116 0.243 0.988
O 0.870 0.739 0.489
O 0.257 0.515 0.266
O 0.743 0.488 0.737
O 0.017 0.004 0.762
O 0.656 0.230 0.986
O 0.761 0.507 0.262
Li 0.995 0.000 0.500
Li 0.379 0.755 0.757
Li 0.868 0.753 0.755
Li 0.752 0.501 0.999
Li 0.134 0.248 0.245
Li 0.506 0.000 0.500
Li 0.620 0.244 0.244
Li 0.248 0.498 0.001
Li 0.500 0.000 0.000
Mn 0.750 0.500 0.499
Mn 0.000 0.000 0.001

## Properties
**Symmetry**: P1
**Size of the total moment**: 10.0 μB/cell
**Excess energy over the best structure of this formula in the dataset**: 24 meV/atom

---

An optimized crystal structure of CoGeO3. Source: Materials Project, functional PBE with a Hubbard U.

Lattice parameters (Å, degrees): 5.192 6.693 6.690 85.64 81.65 81.38
Positions (direct):
Co 0.250 0.733 0.267
Co 0.751 0.909 0.095
Co 0.249 0.099 0.900
Co 0.751 0.262 0.737
Ge 0.783 0.396 0.207
Ge 0.286 0.206 0.393
Ge 0.716 0.792 0.605
Ge 0.215 0.607 0.795
O 0.887 0.862 0.370
O 0.864 0.205 0.028
O 0.115 0.135 0.628
O 0.386 0.372 0.864
O 0.368 0.025 0.204
O 0.133 0.796 0.974
O 0.636 0.973 0.793
O 0.091 0.429 0.291
O 0.611 0.630 0.138
O 0.910 0.570 0.709
O 0.591 0.291 0.430
O 0.408 0.708 0.570

## Properties
**Symmetry**: P1
**Size of the total moment**: 12.0 μB/cell

---

An optimized crystal structure of Li3Co4TeO8. Source: Materials Project, functional PBE with a Hubbard U.

Lattice parameters (Å, degrees): 6.048 6.048 6.185 60.00 60.00 61.39
Positions (direct):
Te 0.500 0.500 0.000
Li 0.000 0.000 0.500
Li 0.500 0.000 0.000
Li 0.000 0.500 0.000
O 0.255 0.255 0.252
O 0.742 0.262 0.238
O 0.745 0.745 0.748
O 0.250 0.250 0.731
O 0.738 0.258 0.762
+++

Worked solution =
**Excess energy over the best structure of this formula in the dataset**: 24 meV/atom